In the previous parts (link to part 1 and link to part 2), we saw why you are a Scrum Master, what to do when you land into your new work environment, and how to set up a framework that creates a healthy routine for the team. This time, we will talk about a few principles to make everyone’s life easier.

Set some ground rules

A little ego-bruising to start with: you are there to serve the team – that is the “servant leader” phrase so often used. Without the team, you are unnecessary. Whoever you work for is not looking for a great leader as an end goal: they are looking to deliver value, for which they hired a high-performing team. You are there to ensure that the team performs. You will shield the team from outside distractions, so they can focus on what they are good at: delivering working software.

All the same, for your job to be tenable, the team has to help you. They have to be defendable and, well, performant.

To achieve that, a few ground rules are helpful.

Define terminology

It is important that everyone in the team understands the same reality, governed by a ubiquitous language.

Definition of ready

When is a task ready for an engineer to start working on it? Are the acceptance criteria well defined? Is the sign-off authority identified? Those are all questions that the team must be able to answer. They can only do so consistently if a definition of ready is agreed. Run a workshop where it is debated and captured. Leave no room for interpretation. Be clear.

Definition of done

The same goes for finishing a task. The team must agree on the criteria to meet for a ticket to be labelled done or done-done (a strange phrase to underline that development is complete and that, from the business’s perspective too, the feature is complete). Usually, a task will have had to go through development, review, test and demo before it can reach the promised land that is the ‘Done’ column on the board (a column that can be named done-done, to be sure to be sure). Be exhaustive.

Sprint goal

As briefly discussed in part 2 (link), even if your team is not strictly Scrum, chances are that your reporting takes place at regular intervals – a week, a fortnight, a month. Therefore, the idea of a sprint is still relevant, if only in reporting terms. Having a goal for that sprint is essential. No matter how well you plan and estimate, it is unlikely your team will complete all the tasks that are earmarked at the start of the sprint: reality tends to come in the way and delay or block work. A sprint goal creates focus and helps prioritising: if not all tasks can be completed after all, then those that contribute towards the sprint goal have a higher priority than the others. Not only that: the sprint goal should articulate the business benefit, so that, for example, a collection of tasks described in technical jargon become: “reduce the monthly Cloud bill by 30%.” The business will love that, and the team will appreciate understanding the reasons behind their work.

Without going into too much detail about sprint goals (literature exists that does exactly that), it is important that they are:

  • Achievable: if the team’s goal is to launch a rocket into space in one week, it is bound to fail. Make the team choose a goal they truly believe they can realistically achieve

  • Precise: “deploy the application” might seem like a noble, valid goal. Until one realises that deploying to a staging environment is not the same as deploying to a production environment. The application could also be deployed, yet not enabled, not interconnected with its dependencies or whatever else. Phrase the goal in a way that success is as binary as possible

  • Measurable: “reduce time to complete tasks” is not a sprint goal; it is a vague aspiration. “Increase automated-test speed to bring end-to-end-testing time down by five minutes” is. It is measurable and success is a yes/no question

  • Set by the team: this is critical. The sprint goal is the team’s commitment, based on what the team thinks is achievable, not based on what one manager or another is trying to achieve. Without that, there can be no buy-in from the team and no success

A team that consistently hits its sprint goals will develop self-confidence and high morale. Not only will it make them feel good, they will also become keen to gradually achieve more. That benefits all parties involved.

A team that does not consistently hit its sprint goals learns its own capacity and adjusts its goals so they are achievable. That helps project realistically and manage expectations.

The team will not necessarily understand immediately the benefits of setting sprint goals. It is your role to make sure that they do by explaining. Be a mentor.

Those definitions are best published, e.g. on a Confluence page, or printed underneath the board. If anyone asks, the team must be able to point them to those definitions for disambiguation.

Control scope

Let us take an example to illustrate why controlling the scope is important.

If a client asks for feature f to be worked on and all they can see being produced are unrelated technical tasks and a cluttered board at the end of each sprint cycle, they are likely to question the team’s (and, therefore, your) understanding of priorities. We saw how to manage priorities as part of the planning (link) and will discuss it again in another part of this series. For now, let us assume that the priorities are clear to all. Firstly, you need to focus the effort on the Right Things.

The Right Things are those tasks that are currently on the board, as prioritised by the Product Owner during sprint planning. If asked, you need to be able to explain why a ticket is on the board, what the work is, at a high level, who is working on it, and what the current status is.

Any task on the board that was not prioritised at sprint planning (preferably by the Product Owner) classes as scope creep. If it was added to the board, despite there still being prioritised tickets untouched, that task is not part of the Right Things. If you cannot explain why the task is on the board or who added it there, it is definitely not part of the Right Things.

There might well be a valid reason for that task to be where it is; it may be a dependency for a task that was prioritised; it might be an emergency that stops your tests from running; it might something else equally important. Regardless, the content of the board is your responsibility and you will be given a hard time if you do not know what is being worked on. To talk plainly: if you do not know about a task, then it should not be there. To avoid that awkward situation, the easiest is for you to personally add each and every task to the board, which makes you entirely accountable for what is on the board. In JIRA, you can enforce that by removing the scheduling permission from everyone but you as the Scrum Master. A radical approach, perhaps, but an efficient one: the team will have to focus on the tasks at hand and inform you if they cannot; the client will appreciate that you are trying to control the scope and taking the priorities they set seriously; blockers will be more visible and, therefore, can be addressed more effectively; progress will become steadier, as the focus is clearer; all parties will understand the importance of setting priorities for a short period of time (e.g., the next two weeks, if that is the cadence in place).

Removing the scheduling permission is not meant to be a punishment for the team. However, you must put your house in order before doing anything else. You cannot blame the outside world for allowing scope creep if everyone in the team does the same.

While we are here, the client or the Product Owner are just as likely as the team to add tasks to the board and cause scope creep. Removing the scheduling permission from all but yourself also protects the team from that.

The right mechanism to schedule a task is to go through refinement and planning. If a task is so urgent that it cannot wait for those ceremonies, then you still need to control it. Either it is so small that it can be absorbed, in which case, that is the team’s decision, not that of the person raising the task (whether said person is a member of the team or not), or it is so big it jeopardises the current goals. In that case, you definitely need to be involved to decide, as a collective, whether the new task has to wait after all, or if the current sprint has to be cancelled – a traumatic event that calls for emergency ceremonies and, frankly, is best avoided.

In summary, be a control-freak, when it comes to your board.

+++
This record from Alexandria via LeMat-Bulk describes crystalline Y7Au3 at its relaxed geometry. The functional is PBEsol.

It has space group P6_3mc (No. 186), with a = 9.9252 Å, b = 9.9252 Å, c = 6.2518 Å, α = 90.00°, β = 90.00° and γ = 120.00°. Symmetry generates all atoms from Y at (0.0728, 0.5364, 0.0000), Y at (0.1287, 0.2575, 0.2923), Y at (0.3333, 0.6667, 0.4793) and Au at (0.1908, 0.3816, 0.7317).

The final energy comes out at -6.495 eV per atom. Its formation energy is -0.543 eV per atom.
+++
## Back to the entry

Start less, finish more

In order to forecast with any sense of accuracy (rightly or not, your client will likely ask you to), you need to understand the team’s capacity. More importantly, the team need to understand their own capacity. If they do not, they will not perform as well as they should; that will lead to frustration, low morale, tensions and brain drain.

A team of ten that has a board with sixty tasks on it is common. It is also less than useful: who is working on what? When can something be expected to complete? What can we work on next? And when can that start?

All of those questions need to have a simple answer. No-one can give those simple answers, if the board is cluttered with six in-flight tasks for each person in the team. The team is frustrated because they cannot see themselves progress; the client is frustrated because they cannot see value being delivered and you are frustrated, because the pressure piles up and everyone is blaming you.

How does a team get to that unenviable point anyway? Here are the most frequent causes of such situations: * Lack of ownership * Poor multitasking skills * Poor estimating

How should you tackle them?

Increase ownership

The engineer who works on a task owns that task until it is in the ‘Done’ column. The primary focus of that engineer is to complete that task. The consequence is that engineers convert more open tasks into completed tasks, which can be accurately described as increased productivity.

How? Boards display the engineer assigned to a task. It makes it easy for you to ask a specific engineer for an update on their task. If they try to redirect you to someone else, be obstinate about their owning the ticket until done. If an engineer cannot finish a task on their own, they should ask for help. The team can then swarm on said task to complete it.

Address Multitasking

This is the easy part and the one to focus on first: only allow one thing to be worked on by an individual at any time. Stop the proliferation of work in progress (WIP). Let a team member do one thing, do it well, finish it, then move on. By starting fewer things, the team will finish more of them, team members will see their own progress, make obstacles visible (if something prevents them from completing the task they are working on, they will tell you, since they cannot be distracted by another task), and it will paint a reliable picture of the velocity. Be hard-nosed about multitasking, because, to be clear, no-one is good at it.

How? * Allow as little work as possible on to the board during planning – no more than the velocity * Add WIP limits to the columns on your board. In JIRA, the board will turn red if too many things are in progress, putting the spotlight on what the cause for concern is

“But… We will run out of work in the middle of the cycle!” some engineers may say. No, they will not.

Firstly, a task is only finished when it has reached the definition of done, not when it has been handed over to be reviewed or tested. The engineer who works on a task owns it until it meets the definition of done. Integrating tester feedback is that engineer’s responsibility. In fact, the engineer is accountable for making sure the work passes testing too. The engineer is even accountable for ensuring the work is demoed to the right approving person and gets the sign-off. When an engineer owns a task that way, they will have less time to start another task. There will be less work in progress as a result. Again, increase ownership.

Secondly, if a task is complete and an engineer has no further work to pick up from the sprint backlog, others may need help to complete their respective tasks. Pairing is incredibly valuable: it helps share knowledge and apply standards; it can even make development faster, since there are statistically more ideas in two heads than in one. Encourage pairing.

Thirdly, if pairing is not an option and there really is a shortage of work, then there must be a product backlog full of work waiting to be started. No-one will ever complain about scope creep caused by the initial scope being completed. On the contrary, a client is likely to be thrilled to have a team of overachievers. Remember that you control the scope. Once the team has achieved what they set out to do, it is in your gift to bring another task into the mix. Scrum is rather strict with what goes into the sprint and when, but, if that is the framework you follow, accept that it sometimes has limitations and circumvent those. Refuse dogma.

Improve Estimation

Crystal structures that have nothing to do with the text:
┌──
# 1
# Ac4GeBi2 (PBE-GGA, relaxed)
# * ΔE_f: -0.499 eV per atom
data_Ac4GeBi2
_chemical_formula_sum 'Ac8 Ge2 Bi4'
_space_group_name_H-M_alt 'I 4/m m m'
_space_group_IT_number 139
_space_group_name_Hall '-I 4 2'
_cell_length_a 5.847
_cell_length_b 5.847
_cell_length_c 17.592
_cell_angle_alpha 90.00
_cell_angle_beta 90.00
_cell_angle_gamma 90.00
loop_
_atom_site_label
_atom_site_fract_x
_atom_site_fract_y
_atom_site_fract_z
Ac1 0.000 0.000 0.175
Ac2 0.000 0.500 0.000
Ge1 0.000 0.000 0.000
Bi1 0.000 0.000 0.368

# 2
# Sn2TeAs (PBE-GGA, relaxed)
# * relative energy among the computed polymorphs: 0 meV per atom
data_Sn2TeAs
_chemical_formula_sum 'Sn6 Te3 As3'
_space_group_name_H-M_alt 'R -3 m'
_space_group_IT_number 166
_space_group_name_Hall '-R 3 2"'
_cell_length_a 4.2942
_cell_length_b 4.2942
_cell_length_c 21.1053
_cell_angle_alpha 90.00
_cell_angle_beta 90.00
_cell_angle_gamma 120.00
loop_
_atom_site_label
_atom_site_fract_x
_atom_site_fract_y
_atom_site_fract_z
Sn1 0.0000 0.0000 0.2405
Te1 0.0000 0.0000 0.0000
As1 0.0000 0.0000 0.5000

Values for ρ, g/cm3, ordered as above
7.7 6.5
Values for V, A^3/atom, ordered as above
42.96 28.09


[1]
A relaxed Tb2TlIn crystal, computed with PBE.

Summary:
As for the crystal system: orthorhombic.

abc: 7.1081 8.4997 3.5968
angles: 90.00 90.00 90.00
Space group Cmmm (No. 65)
Unique sites:
Tb: 0.2500 0.2500 0.0000 [4 per cell]
Tl: 0.0000 0.0000 0.5000 [2 per cell]
In: 0.0000 0.5000 0.5000 [2 per cell]

***

[2]
A relaxed Tb15TlIn4 crystal, computed with PBE.

Summary:
As for the crystal system: tetragonal.

abc: 4.8548 4.8548 24.3718
angles: 90.00 90.00 90.00
Space group P4/mmm (No. 123)
Unique sites:
Tb: 0.0000 0.0000 0.0000 [1 per cell]
Tb: 0.0000 0.0000 0.2001 [2 per cell]
Tb: 0.0000 0.0000 0.4000 [2 per cell]
Tb: 0.0000 0.5000 0.1007 [4 per cell]
Tb: 0.0000 0.5000 0.3000 [4 per cell]
Tb: 0.0000 0.5000 0.5000 [2 per cell]
Tl: 0.5000 0.5000 0.0000 [1 per cell]
In: 0.5000 0.5000 0.1999 [2 per cell]
In: 0.5000 0.5000 0.4000 [2 per cell]

***

[3]
A relaxed Tb6TlIn5 crystal, computed with PBE.

Summary:
For the offset from the most stable computed form, the calculation gives 147 meV/atom. As for the crystal system: monoclinic.

abc: 9.9068 11.1996 6.4612
angles: 90.00 102.70 90.00
Space group C2/m (No. 12)
Unique sites:
Tb: 0.2476 0.0000 0.2443 [4 per cell]
Tb: 0.2491 0.1674 0.7492 [8 per cell]
Tl: 0.0000 0.0000 0.5000 [2 per cell]
In: 0.0000 0.1706 0.0000 [4 per cell]
In: 0.0000 0.3376 0.5000 [4 per cell]
In: 0.0000 0.5000 0.0000 [2 per cell]

***

[4]
A relaxed Tb2TlIn9 crystal, computed with PBE.

Summary:
As for the crystal system: tetragonal.

abc: 4.6502 4.6502 14.5668
angles: 90.00 90.00 90.00
Space group P4/mmm (No. 123)
Unique sites:
Tb: 0.0000 0.0000 0.1578 [2 per cell]
Tl: 0.0000 0.0000 0.5000 [1 per cell]
In: 0.0000 0.5000 0.0000 [2 per cell]
In: 0.0000 0.5000 0.3228 [4 per cell]
In: 0.5000 0.5000 0.1615 [2 per cell]
In: 0.5000 0.5000 0.5000 [1 per cell]

***

[5]
└──

The second cause of a cluttered board is more complicated to tackle. As we saw in the second part of this series of articles (link), estimating the work your team is about to do is essential: it helps you forecast timelines and manage your client’s expectations, as well as control scope. However, to do that effectively, you need reliable estimates. And we know that teams are not very good at providing those reliable estimates. What can you do about it?

Estimate in Story Points

Story points are the only measure that will help you. An estimate in man-days or man-hours is understood by everyone and any deviation is therefore very visible. The team (therefore you) will be judged harshly for any such deviation. A judgement that may be unfair, too. Let us take a simple example to illustrate.

John and Jane live together and take turns to go to the bakery to buy bread. The trip from their house to the bakery (1.3km) takes Jane ten minutes. She is a long-distance runner and in very good physical condition, you see? She is usually in and out in no time. John loves pastry (from the bakery) and walks more slowly. The journey takes him nineteen minutes. On the other hand, he often comes home with pastries, which bring joy to the whole house.

Both John and Jane do what is asked of them: they buy bread. Both walk at a different pace, and bring different qualities to the service. Depending on whose turn it is to fetch the bread, the activity will take more or less time, but the outcome is the same: there is bread for the household.

Story points were created precisely to solve situations like the one above. When a development cycle starts, the sprint backlog contains multiple tasks. Who ends up working on which task is unknown. It depends on who is available and the priority order. Joanna may complete task t in five hours, whereas it would take Alex only three, because Alex has done something very similar in the past. But Alex is not free to pick up task t. So Joanna does the work, and she will see it through, even though she has never done anything like it before. Story points indicate a level of complexity that is relative for a specific team (Team A’s story points do not have the same meaning as Team B’s). The velocity indicates how many story points the team goes through over the course of one cycle. Collectively, the team achieves that much, and how that is spread across the team members is the team’s business.

That way of estimating not only helps forecast more accurately, it also sidesteps key-person dependencies: one might be tempted to ask Jane to go buy bread every time, since she is quicker to do so. However, if Jane then sprains her ankle, or if she moves out (maybe she hates that trip to the bakery), John does not know where the bakery is or what bread to buy, as he has never done it. Perpetuating a key-person dependency only delays someone else learning a skill and makes that learning more taxing: once Jane has moved out, she will not show John how to buy bread.

Use story points. Always.

Make Mistakes and Refine

With a new team especially, know that the estimates are going to be wrong. Whether the tasks are more complex than anticipated or the team takes on more than they can realistically complete, it will be a while before estimates are reliable. As the tasks become more of the same (by definition, something can only be new once), the team will have reference points against which to estimate new tasks. The resulting estimates will be increasingly reliable when they are based on statistics (the effort it took to complete previous, similar tasks), rather than gut-feel.

As for how much to take on, that decision will also be made easier as the velocity emerges. Remember: take on tasks whose combined story points amount to the velocity. Making mistakes, particularly in the early days, is okay. At least, as long as you…


If the team is new, make it known that the velocity is unknown and that it will become clearer after three or four sprints.

If a task is terra incognita, explain to your stakeholders that this is something the team has never done before and that estimates are to be taken with a pinch of salt.

If the team misses its target by a long stretch, underline that the initial forecast was based on a guesstimate and that a better understanding of the velocity will soon address that.

If an established team misses its target, discuss with them and find out why. Was the job more complex than thought? Was the team too ambitious? Decide with the team how to adjust. Be the firm-yet-reassuring voice.

Learn and Repeat

Practice makes perfect. The more the team estimates-plans-delivers-reviews, the more reliable their estimates and the steadier the velocity. Naturally, there will always be a level of uncertainty and any task will come with its share of unknowns. But it will matter less because the team will learn to factor that into their estimates and your client will understand that your forecast accommodates that uncertainty.


With some simple discipline, the team can perform better and help you help them. The discipline to define and use a terminology that leaves no room for interpretation; the discipline to control the scope and to see tasks through to completion. Such discipline will help make the team predictable, which, in turn, will help you forecast and reassure your stakeholders.

Next time, we will see how to empower the team and the expected benefits of doing so.